Joseph Ndione laments the demise of the man-lion street performance that once celebrated the power of nature.
(A message to the reader.)
Welcome to the Fake Lion show
Please close your eyes and imagine yourself walking in the streets of Dakar (capital city) or Saint-Louis (in the north) or any other Senegal’s cities streets an afternoon of a sunny public holiday admiring the architecture, joyful people, informal business of streets sellers, sheep here, goats there while enjoying some sabar (Senegal traditional drumming) drums beating and then suddenly from nowhere the whole atmosphere has completely changed, “c’est le sauve qui peut” (“Run for your life!”) all people are running chasing by men-lions and men-panthers. What would you do then?
It’s neither a nightmare nor a movie. This is real. Welcome to the Simb or Fake Lion show, an event unique of Senegal mixing mysticism, terror, traditional dance, folklore…
Street festival

10
Lattice="4.170 0.000 0.000 0.000 4.170 0.000 0.000 0.000 9.895" Properties=species:S:1:pos:R:3 comment="SmSi2Ir2 PBE optimized geometry" e_form_mev_per_atom=-1059.1 crystal_system=tetragonal spacegroup="P4/nmm, No. 129" pbc="T T T"
Sm 0.000 2.085 2.530
Sm 2.085 0.000 7.365
Si 0.000 0.000 4.947
Si 2.085 2.085 4.947
Si 0.000 2.085 8.606
Si 2.085 0.000 1.289
Ir 0.000 0.000 0.000
Ir 2.085 2.085 0.000
Ir 0.000 2.085 6.207
Ir 2.085 0.000 3.688

The Fake Lion show is a very popular street entertainment. Most of the time it takes place on a street or an open public space specially prepared for the event (chairs for guests and onlookers, drums, main microphone…). Since the 1940’s these events have been designed to become real street shows, codified and with tickets sales at the entrance. Spectators must buy their tickets to attend the choreographies of the fake lions. Organisers are mainly the neighbourhood female associations. The main actors, like the fake lions and their troops, traditional singers, drummers, present the show based on a paid contract with organisers. Generally, the street festivities are held on a public holiday and the show starts from the end of the afternoon to nightfall.
Before the show, men dress up as lions with make-up imitating the “wild cat”: red and black, faces with whiskers and a terrifying appearance. Their spectacular arrival in the show where organisers and spectators are already waiting in their festive clothes is announced by the sounds of tam-tam. The fake lions are roaring and hidden from the public by handmade loincloths. The whole audience sings “congratulations the lions” and claps their hands. After a few dance steps, some fake lions suddenly dart to the crowd that runs away, others look in the audience to check spectators without tickets. The victims will be requested to dance in the main circle and if they do it badly, they will be sprayed with water or mocked. The show goes on like this alternating choreographies and attacks of the fake lions and dances performed by the spectators.
At the end of the show, an audience of mainly children accompanies the return of the fake lions by singing under the sound of the tam-tam.
Birth of the man-lion

According to the oral tradition, the Fake Lion show dates back to the time when Senegal was covered with dense forests populated by wild animals such as lions, hyenas, gazelles, monkeys and jackals. The hunter who had been attacked by a lion and survived became a strange person. Shocked by this encounter, he lost his head and started roaring like a lion, eating only raw meat, and growing hair on his body. To cure him, the traditional healers then performed jaat, an epic speech to praise the Fake Lion.
The need to reinvent history

The Senegalese culture (including traditional wrestling, sabar, mbalaakh or traditional music, kankourang or traditional mask show…) is nowadays facing major challenges among others. This includes how to: (1) preserve its uniqueness; (2) harmonise traditional heritage and globalisation/technology; and (3) perpetuate the essence of its cultural treasures from generation to generation. As part of this, I tried to make you (re)visit the Fake lion’s history. This tradition is closely linked to Senegalese culture since the country’s national symbols are the Lion and the Baobab tree.

Unfortunately without strong willingness from the actors supported by the authorities in charge of culture, the Fake Lion’s show is doomed to disappear. The reasons for this include the violence which at times surrounds the event, the rapid urbanisation of Senegal’s cities, the lack of perpetuation of this practice from generation to generation and the deculturation of new generations. As a result, most of the Fake Lions became traditional wrestlers or they perform the show only during official ceremonies and cultural events to add some liveliness.
The images are copyright to Robert Sipho Faye Bellinger.
Joseph Ndione is currently lecturing Design Thinking and UX Design at the Virtual University of Senegal. He has among others diplomas an MBA from Ritsumeikan Asia Pacific University in Japan and a Master in English Language (specialization African Literature) from Dakar University. Joseph is a specialist of the OVOP Concept (One Village One Product) a Japanese oriented rural development model and has published a series of academic researches in that field.
Hello Joseph, I am a French teacher and wanted to thank you for your article. I came across this while preparing a lesson on Senegal and Le Simb. My students will enjoy this. Merci bien et bonne chance avec tout !